Eater DC: Team Tail Up Goat Savors Phenomenal Opening Act

From Eater DC by Lani Furbank:
“When Tail Up Goat first opened, beverage director and co-owner Bill Jensen had a mantra. “I would adjust my tie in the mirror and say, ‘at some point this will all feel routine,’” he recalls.
Jensen says the restaurant’s fish monger quickly disabused him of this notion. “He was like, ‘Man, I owned a restaurant for 11 years, and I can tell you, not one day was routine.’”
Nothing is routine at Tail Up Goat. But that’s what has helped it shine during its first year in business. Hospitality veterans Jensen, Jon Sybert (chef/co-owner) and Jill Tyler (co-owner/service director) came together to form the trifecta of hospitality: drinks, food, and service, respectively. They turned their debut restaurant into the kind of place they themselves would want to frequent, complete with avant-garde tipples, an eyebrow-raising moniker, and healthcare for the staff.
The combination proved to be successful, earning Tail Up Goat local and national acclaim, as well as a Michelin star. The team sat down with Eater the afternoon following the first birthday bash to reminisce, give props, and look ahead.
It seems like one of the first things people comment on is the quirky name and its backstory. When you were choosing the name, did you expect it to get so much attention?
____________
<i>
Below is a relaxed structure of Ga4PdAu5, with properties calculated at the PBE level. Values from VASP.

```
&SYSTEM
  ibrav = 0, nat = 10, ntyp = 3
/
ATOMIC_SPECIES
Au 196.97 Au.upf
Ga 69.72 Ga.upf
Pd 106.42 Pd.upf
CELL_PARAMETERS angstrom
-2.1778 2.9041 0.0308
-4.3601 -3.2539 -1.4824
2.3449 -0.6153 9.8823
ATOMIC_POSITIONS crystal
Au 0.8126 0.2260 0.6253
Ga 0.0743 0.3297 0.1487
Pd 0.5000 0.0000 0.0000
Au 0.2042 0.2980 0.4084
Au 0.5000 0.5000 0.0000
Au 0.7958 0.7020 0.5916
Ga 0.3776 0.0499 0.7553
Au 0.1874 0.7740 0.3747
Ga 0.9257 0.6703 0.8513
Ga 0.6224 0.9501 0.2447
```

Values from the calculation:
The density of states at the Fermi level comes out at 0.32 states/eV per atom. The calculation puts the volume at 187.4 Å³ per cell. Its space-group type is C2/m.

<ii>
Below is a relaxed structure of Ga4PdAu5, with properties calculated at the PBE level. Values from VASP.

```
&SYSTEM
  ibrav = 0, nat = 10, ntyp = 3
/
ATOMIC_SPECIES
Au 196.97 Au.upf
Ga 69.72 Ga.upf
Pd 106.42 Pd.upf
CELL_PARAMETERS angstrom
3.9291 0.0000 -0.9970
-0.1714 5.9022 -0.6756
-0.1513 0.6886 7.6444
ATOMIC_POSITIONS crystal
Au 0.2429 0.3215 0.4858
Ga 0.3233 0.9353 0.6465
Ga 0.0650 0.2413 0.1299
Pd 0.5000 0.0000 0.0000
Au 0.1175 0.7048 0.2351
Ga 0.9350 0.7587 0.8701
Au 0.7571 0.6785 0.5142
Ga 0.6767 0.0647 0.3535
Au 0.5000 0.5000 0.0000
Au 0.8825 0.2952 0.7649
```

Values from the calculation:
The density of states at the Fermi level comes out at 0.36 states/eV per atom. The calculation puts the volume at 178.3 Å³ per cell. Its space-group type is C2/m.

What should be chosen as the least stable of them? Choose <ii>.

* * * * *

The following is a DFT calculation (PBE-GGA) of a relaxed structure of CsTlCu2Cl8.

Properties
DFT total energy, eV/cell: -105.9

Lattice parameters (Å, degrees): 6.5612 6.5612 28.7029 90.00 90.00 120.00
Space group R-3 (No. 148, hexagonal axes)
Asymmetric unit:
Cs (0.0000, 0.0000, 0.0000) (multiplicity 3)
Tl (0.0000, 0.0000, 0.5000) (multiplicity 3)
Cu (0.0000, 0.0000, 0.2409) (multiplicity 6)
Cl (0.0000, 0.0000, 0.3175) (multiplicity 6)
Cl (0.0011, 0.6703, 0.5544) (multiplicity 18)

* * * * *

# 1
Compound: TbDy3Y2Ho6
Source: Alexandria via LeMat-Bulk
Functional: PBE
Structure: relaxed

Values from the calculation:
* formation enthalpy at 0 K: 0.02 eV/atom
* crystal system: monoclinic
* space-group type: C2/m, No. 12

a = 6.1268 Å, b = 6.1268 Å, c = 11.7309 Å
α = 94.97°, β = 94.97°, γ = 119.94°
With the nearest neighbours (Å) after each atom.
Fractional positions:
Tb  0.0000  0.0000  0.0000  6 Y 3.54, 6 Ho 3.54-3.55
Dy  0.1668  0.8332  0.5000  6 Ho 3.53, 6 Dy 3.54
Dy  0.8332  0.1668  0.5000  6 Ho 3.53, 6 Dy 3.54
Dy  0.5000  0.5000  0.5000  6 Ho 3.53, 6 Dy 3.54
Y  0.3333  0.6667  0.0000  3 Tb 3.54, 3 Y 3.54, 6 Ho 3.54-3.55
Y  0.6667  0.3333  0.0000  3 Tb 3.54, 3 Y 3.54, 6 Ho 3.54-3.55
Ho  0.9158  0.5831  0.7491  3 Dy 3.53, 6 Ho 3.53-3.54, 2 Y 3.54-3.55, 1 Tb 3.55
Ho  0.7514  0.7514  0.2509  3 Dy 3.53, 6 Ho 3.53-3.54, 1 Tb 3.54, 2 Y 3.55
____________
So much for the crystal structures:
Jon Sybert: I don’t know that we thought that it would get much attention, but I think we knew we were attached to it right from the get-go. The name is from where Jill grew up in the Virgin Islands, and it was something that on a visit years and years ago … Jill and I looked at each other and were like, “that’s perfect.” Such a strange and irreverent saying. When we shared it with Bill a couple years later … he got so excited. It was one of the things that made us realize that the three of us would end up working together at some point.
Jill Tyler: I don’t think we thought it would be like “Wait, what is this? What are you saying?” So it’s kind of been a fun story to get to tell. And it is personal and this nod to home where we always try to get away to.
Bill Jensen: Never underestimate the power of a good non sequitur.
Did your time at Komi and Little Serow directly influence your vision for this restaurant? Or was it something that you had always been planning all along?
JT: I think it’s always a hope and dream for so many people who work in this industry to be able to go out on your own and take lessons learned, but then really make your own mark. That’s at least how it’s felt for me in getting to open; it’s like building a place that’s so intensely us.
What are the biggest challenges of running your own restaurant?
BJ: All of it. (laughs)
JS: Staffing. We’re very lucky. I think we have great people. But that’s hard.
JT: Paperwork. There’s paperwork upon paperwork upon paperwork … I didn’t know how many things I didn’t know until we did this.
BJ: We all worked long hours when we were at former jobs and had a lot of responsibility, but I just think there’s mentally this shift when it is your baby. And it doesn’t matter where you are, whether you’re at the restaurant, whether you’re not at the restaurant, there’s always this piece of you that is worried about the place.
Patrons settling in for a meal at Tail Up Goat. Photo by Rey Lopez.
What have been the biggest rewards?
JS: What I don’t think I really saw coming was how responsible I feel for all of the people here. We employ 50-some people and that’s a really awesome feeling. And thinking that we do a good job taking care of them and supporting those people … is a really cool thing that I personally have found extraordinarily rewarding.
BJ: Watching people respond to the stuff that you dream up … and being able to play a meaningful part in people’s day-to-day life as a more casual restaurant has been awesome. We hosted a rehearsal dinner for a couple regulars a few months in. We’ve been able to host a charity dinner for Miriam’s Kitchen. We’ve been able to close the restaurant because one of our cooks got married. I think that’s always the kind of restaurant we wanted to be.
Can you talk a bit about how each of your strengths and skill sets complement each other in this restaurant?
JS: Well, Jill’s the glue.
JT: No…
BJ: I think that is very true. I think Jon and I are very…
JS: We’re the romantics. And overly so at times.
BJ: We’re very lucky. I think we both take for granted how much creative license that we are both able to take on and run with just because Jill is there to do everything else. I’ve never been in that position and that’s amazing.
JT: There have absolutely been moments where we’re like “ugh.” When you’re working with someone that closely, it’s like a family. But I think at the end of the day the reason it’s worked is we have so much respect for each other and what each of us can bring to the table. I completely respect both of them in just such huge, awesome ways.
Many of the items on your menu have reached cult-favorite status. People buzz about the lamb ribs, the idea of a welcome shrub, and the goat lasagna, which Bon Appetit says was the best pasta of 2016. Are these still as popular as they were originally? Did you expect them to be the stars of the menu?
JS: Funny thing about the goat lasagna was — not at all popular when it went on the menu the first time. I think it’s definitely one of those things that is a little difficult to read. But I think when people gave it a shot, they got a lot more into it.
BJ: We’ve been in the position of being lucky enough that people have responded to what we do. And I think to our credit we’ve maintained the strength of our own convictions about the food and drink we want to serve. The first shrub was a celery shrub that was insanely divisive.
JS: Bill and I are both in love with celery in a weird way.
BJ: My wife hated it. I liken it to a seminal ‘70s underground punk act that only a few people ever saw. But the few people that saw were really into it.
JS: In 10 years, those people are going to be like, “Man that was the best shrub ever.”
BJ: That is another cool thing about owning the joint is that you can pursue those flights of fancy and I think it’s important to take those risks.
The dedicated bread course also gets a lot of love. It’s not your average dinner rolls and baguettes. Why did you choose to focus on out-of-the-box bread?
JS: I have a very close friend of mine named Jared [Dalby] who’s in the kitchen right now, and he’s the mastermind behind all of our breads. I’m a pretty good baker; he’s a phenomenal one. And I think that when this whole thing started, I definitely wanted bread to be a focus because it’s something I personally love and feel like is underrepresented in a lot of restaurants in D.C. And I think it just kind of happened pretty organically when we got together and started talking about the menu as a whole.
Given that it was your goal to be a true a neighborhood restaurant, how do you feel you’ve settled into the community of Adams Morgan?
BJ: It’s been great. And it’s even greater because the three of us live … within walking distance, and the neighbors are great. The other really gratifying thing is I wasn’t aware of how many people live in this area, too. So every night we’ll have regulars that we know. But every night we have new faces that only live a block away, and that’s awesome.
The bar at Tail Up Goat. Photo by Rey Lopez.
JT: We’ve been so, so lucky with all the neighborhood support and love.
BJ: I think above and beyond that too, the industry love has been amazing. The D.C. restaurant scene is booming but it’s still…
JS: Super supportive as a whole, not just of us. I’m always in awe of how supportive the industry is of each other.
The restaurant received glowing praise from nearly everyone, including great local reviews, a Michelin star, and national recognition as a best new restaurant finalist for Bon Appetit. How did this affect the restaurant?
BJ: It hasn’t hurt business, so that’s good.
JT: Frank Ruta of Palena would always tell his staff after something good came out, “that’s great, but put your head down and get back to work or it doesn’t mean anything.” We don’t want to be here for a year. We want to be here for a really long time. And that’ll only happen if we keep working hard.
BJ: We’ve been incredibly fortunate to get the press we’ve had over the last year. But by the same token I think the challenge for a business is not year one, when there’s novelty about the place. The challenge is in subsequent years: How do you maintain that energy? How do you maintain the quality of the product that you’re putting out? Because in this business, it’s like theater: you’re only as good as your last performance.”
Read the rest of the interview HERE!
Featured photo by Rey Lopez.